What is needed: copy everything further down without altering anything.

=====
First-principles (PBE) data for Nd3Al6Pd5 after structural relaxation, as listed in Alexandria.

Computed properties:
Crystal system = orthorhombic
M_tot = 0.0 μB/f.u.
SG = Pmmn, No. 59
E_form = -1101 kJ/mol of formula units

Cell: 4.352 9.463 13.052 Å, 90.00 90.00 90.00°
Positions (direct):
Nd: 0.000 0.247 0.697
Nd: 0.500 0.753 0.197
Nd: 0.500 0.753 0.803
Nd: 0.000 0.259 0.000
Nd: 0.500 0.741 0.500
Nd: 0.000 0.247 0.303
Al: 0.000 0.982 0.849
Al: 0.500 0.018 0.651
Al: 0.500 0.414 0.819
Al: 0.500 0.576 0.000
Al: 0.000 0.424 0.500
Al: 0.000 0.586 0.681
Al: 0.000 0.586 0.319
Al: 0.500 0.963 0.000
Al: 0.000 0.982 0.151
Al: 0.500 0.414 0.181
Al: 0.000 0.037 0.500
Al: 0.500 0.018 0.349
Pd: 0.000 0.537 0.885
Pd: 0.000 0.870 0.658
Pd: 0.000 0.799 0.000
Pd: 0.500 0.463 0.615
Pd: 0.500 0.201 0.500
Pd: 0.000 0.537 0.115
Pd: 0.500 0.463 0.385
Pd: 0.000 0.870 0.342
Pd: 0.500 0.130 0.842
Pd: 0.500 0.130 0.158

~~~~~

# NaS2Br SCAN single point on PBEsol structure
# ΔE_f (raw): 0.13 eV/atom
# energy: -10.61 eV per atom
data_NaS2Br
_cell_length_a 4.8218
_cell_length_b 4.8218
_cell_length_c 14.7069
_cell_angle_alpha 90.00
_cell_angle_beta 90.00
_cell_angle_gamma 120.00
_symmetry_space_group_name_H-M 'R -3 m'
_symmetry_Int_Tables_number 166
_symmetry_space_group_name_Hall '-R 3 2"'
loop_
_atom_site_label
_atom_site_type_symbol
_atom_site_fract_x
_atom_site_fract_y
_atom_site_fract_z
_atom_site_occupancy
Na1 Na 0.0000 0.0000 0.0000 1
S1 S 0.0000 0.0000 0.1798 1
Br1 Br 0.0000 0.0000 0.5000 1
=====

First-principles (PBE) data for Nd3Al6Pd5 after structural relaxation, as listed in Alexandria.

Computed properties:
Crystal system = orthorhombic
M_tot = 0.0 μB/f.u.
SG = Pmmn, No. 59
E_form = -1101 kJ/mol of formula units

Cell: 4.352 9.463 13.052 Å, 90.00 90.00 90.00°
Positions (direct):
Nd: 0.000 0.247 0.697
Nd: 0.500 0.753 0.197
Nd: 0.500 0.753 0.803
Nd: 0.000 0.259 0.000
Nd: 0.500 0.741 0.500
Nd: 0.000 0.247 0.303
Al: 0.000 0.982 0.849
Al: 0.500 0.018 0.651
Al: 0.500 0.414 0.819
Al: 0.500 0.576 0.000
Al: 0.000 0.424 0.500
Al: 0.000 0.586 0.681
Al: 0.000 0.586 0.319
Al: 0.500 0.963 0.000
Al: 0.000 0.982 0.151
Al: 0.500 0.414 0.181
Al: 0.000 0.037 0.500
Al: 0.500 0.018 0.349
Pd: 0.000 0.537 0.885
Pd: 0.000 0.870 0.658
Pd: 0.000 0.799 0.000
Pd: 0.500 0.463 0.615
Pd: 0.500 0.201 0.500
Pd: 0.000 0.537 0.115
Pd: 0.500 0.463 0.385
Pd: 0.000 0.870 0.342
Pd: 0.500 0.130 0.842
Pd: 0.500 0.130 0.158

~~~~~

# NaS2Br SCAN single point on PBEsol structure
# ΔE_f (raw): 0.13 eV/atom
# energy: -10.61 eV per atom
data_NaS2Br
_cell_length_a 4.8218
_cell_length_b 4.8218
_cell_length_c 14.7069
_cell_angle_alpha 90.00
_cell_angle_beta 90.00
_cell_angle_gamma 120.00
_symmetry_space_group_name_H-M 'R -3 m'
_symmetry_Int_Tables_number 166
_symmetry_space_group_name_Hall '-R 3 2"'
loop_
_atom_site_label
_atom_site_type_symbol
_atom_site_fract_x
_atom_site_fract_y
_atom_site_fract_z
_atom_site_occupancy
Na1 Na 0.0000 0.0000 0.0000 1
S1 S 0.0000 0.0000 0.1798 1
Br1 Br 0.0000 0.0000 0.5000 1